== Work order ==
Your job: copy the whole of the data below character by character.

== Source ==
-- begin --
Computed, not measured: a structure of composition C35H55F6N4O4PS4 in a non-equilibrium geometry, with ωB97M-V with the def2-TZVPD basis set.

Structure (XYZ):
```
109
Properties=species:S:1:pos:R:3:forces:R:3:lowdin_charge:R:1
C 4.97650 -1.37194 2.45353 0.65 0.11 -0.01 -0.139
C 5.38747 -2.79453 2.07425 -0.60 0.04 -0.04 -0.248
C 4.20717 -3.70973 1.68004 0.43 0.45 0.18 -0.198
C 3.80255 -3.45484 0.23149 -0.10 -0.11 -0.38 -0.211
N 2.40763 -3.78801 -0.10062 0.22 0.46 0.43 -0.198
C 2.13051 -3.73015 -1.54926 -0.21 0.03 -0.38 -0.175
C 1.84478 -2.29897 -2.02413 -0.15 -0.79 0.02 -0.209
C 1.77680 -2.14751 -3.54746 0.47 -0.36 0.28 -0.166
C 2.27452 -0.76825 -4.04771 -0.91 -0.17 -0.10 -0.112
C 2.20618 0.32402 -3.01147 0.82 0.37 -0.22 -0.128
C 3.26295 1.15532 -2.72868 -0.14 0.16 0.10 -0.105
C 4.56989 1.07090 -3.48988 -0.01 0.35 0.52 -0.086
C 5.73582 0.44678 -2.71071 0.06 -0.07 -0.34 -0.409
C 5.45684 -0.31722 -1.44644 0.14 0.38 0.04 -0.022
N 6.93802 0.58703 -3.09451 -0.13 -0.08 0.02 0.133
C 3.18321 2.16307 -1.67146 0.00 -0.09 0.23 -0.155
C 4.38330 3.05825 -1.37573 -0.20 0.30 -0.59 -0.169
C 4.14960 4.51169 -1.89858 0.41 -0.48 -0.08 -0.251
C 5.15495 4.93633 -2.99736 -0.88 0.67 0.16 -0.540
S 4.36111 5.27173 -4.61571 0.14 -0.31 -0.26 0.674
C 2.04443 2.34285 -0.92409 -0.41 -0.17 0.39 -0.253
P 1.99185 3.54904 0.47005 0.56 0.70 -0.04 0.988
C 0.26305 4.18180 0.51575 0.21 -0.19 -0.08 -0.298
C 2.17281 2.50142 1.97326 -0.01 -0.60 0.13 -0.416
C 3.60157 1.96406 2.13125 -0.15 0.26 -0.27 -0.170
C 0.90899 1.53024 -1.24128 0.65 -0.51 -0.48 -0.340
N -0.27950 1.53231 -0.65200 -0.39 -0.05 0.27 -0.222
S -1.17118 0.39710 -1.35958 0.23 0.18 -0.01 1.024
N -0.12258 -0.14650 -2.44410 -0.32 -0.03 -0.14 -0.220
C 1.00727 0.53727 -2.27708 -0.29 0.32 0.13 -0.308
C 1.42507 -3.13779 0.63976 -0.46 -0.23 -0.06 -1.034
S 1.56927 -1.67478 1.34488 0.32 0.01 0.31 0.772
S -0.14233 -4.01516 0.63938 0.08 -0.27 -0.38 0.889
C -0.62454 -4.02846 2.39373 0.32 0.93 0.40 -0.471
C -1.15085 -2.71634 2.99182 -0.35 0.24 -0.20 -0.316
C -2.11997 -1.93510 2.08623 -0.18 -0.25 0.07 -0.130
H 4.28751 -1.33935 3.29744 -0.18 -0.07 -0.13 0.070
H 4.56959 -0.81700 1.60843 -0.25 -0.13 0.07 0.026
H 5.87569 -0.82823 2.76318 -0.06 0.03 0.02 0.075
H 5.90527 -3.24098 2.92405 0.18 -0.04 -0.12 0.103
H 6.06768 -2.72093 1.22083 0.24 -0.20 0.15 0.102
H 4.52559 -4.74605 1.79679 -0.18 -0.09 -0.05 0.109
H 3.39285 -3.52472 2.38118 -0.08 -0.08 -0.10 0.083
H 4.05909 -2.43759 -0.08997 -0.10 0.06 0.26 0.082
H 4.39892 -4.12746 -0.39094 0.00 0.08 -0.07 0.128
H 1.27962 -4.37710 -1.77822 0.08 -0.10 -0.02 0.111
H 3.01069 -4.09890 -2.07841 -0.03 -0.27 0.15 0.121
H 2.61202 -1.66053 -1.58258 -0.14 0.15 -0.06 0.089
H 0.87223 -2.02111 -1.62501 0.23 0.20 0.21 0.075
H 0.76525 -2.37453 -3.88089 -0.03 0.21 -0.02 0.109
H 2.41642 -2.91432 -3.99930 -0.01 0.06 -0.06 0.108
H 3.27087 -0.89934 -4.44958 0.15 0.15 0.13 0.096
H 1.64316 -0.46147 -4.88943 0.08 -0.02 -0.02 0.128
H 4.46809 0.58590 -4.45510 -0.04 -0.16 0.03 0.114
H 4.87587 2.09435 -3.71424 -0.01 -0.02 -0.21 0.098
H 4.45659 -0.74480 -1.43010 0.09 -0.10 -0.03 0.051
H 5.51806 0.39409 -0.61484 -0.12 -0.05 0.04 0.087
H 6.23701 -1.05670 -1.28286 -0.08 -0.11 -0.05 0.086
H 6.96714 1.15074 -3.94636 0.09 0.00 0.00 0.054
H 5.27562 2.70602 -1.88045 0.07 -0.26 0.21 0.077
H 4.60685 3.05497 -0.31325 -0.08 0.05 0.07 0.085
H 4.20931 5.21629 -1.07244 -0.04 -0.02 0.05 0.093
H 3.13782 4.56358 -2.29253 -0.06 0.12 0.04 0.075
H 5.91594 4.18445 -3.18954 0.09 0.03 0.01 0.053
H 5.62075 5.87293 -2.70043 0.31 -0.15 0.01 0.055
H 3.17157 5.71934 -4.18878 0.14 0.01 0.18 -0.153
H 0.29316 5.14982 1.01443 -0.05 -0.04 0.11 0.025
H -0.03373 4.35822 -0.51839 -0.13 -0.01 0.01 0.034
H -0.45108 3.51235 0.98732 -0.04 0.03 -0.02 0.019
H 1.94625 3.12096 2.84441 -0.15 0.15 -0.12 0.076
H 1.47770 1.65552 1.99075 -0.13 0.10 -0.10 0.064
H 4.30852 2.78862 2.24268 0.04 -0.03 0.03 0.069
H 3.67919 1.31638 3.00340 0.02 -0.03 -0.02 0.065
H 3.89273 1.39247 1.24668 0.02 -0.09 0.07 0.041
H 0.25416 -4.35269 2.95235 -0.11 -0.21 0.03 0.073
-- stop --

== Here it is ==
Computed, not measured: a structure of composition C35H55F6N4O4PS4 in a non-equilibrium geometry, with ωB97M-V with the def2-TZVPD basis set.

Structure (XYZ):
```
109
Properties=species:S:1:pos:R:3:forces:R:3:lowdin_charge:R:1
C 4.97650 -1.37194 2.45353 0.65 0.11 -0.01 -0.139
C 5.38747 -2.79453 2.07425 -0.60 0.04 -0.04 -0.248
C 4.20717 -3.70973 1.68004 0.43 0.45 0.18 -0.198
C 3.80255 -3.45484 0.23149 -0.10 -0.11 -0.38 -0.211
N 2.40763 -3.78801 -0.10062 0.22 0.46 0.43 -0.198
C 2.13051 -3.73015 -1.54926 -0.21 0.03 -0.38 -0.175
C 1.84478 -2.29897 -2.02413 -0.15 -0.79 0.02 -0.209
C 1.77680 -2.14751 -3.54746 0.47 -0.36 0.28 -0.166
C 2.27452 -0.76825 -4.04771 -0.91 -0.17 -0.10 -0.112
C 2.20618 0.32402 -3.01147 0.82 0.37 -0.22 -0.128
C 3.26295 1.15532 -2.72868 -0.14 0.16 0.10 -0.105
C 4.56989 1.07090 -3.48988 -0.01 0.35 0.52 -0.086
C 5.73582 0.44678 -2.71071 0.06 -0.07 -0.34 -0.409
C 5.45684 -0.31722 -1.44644 0.14 0.38 0.04 -0.022
N 6.93802 0.58703 -3.09451 -0.13 -0.08 0.02 0.133
C 3.18321 2.16307 -1.67146 0.00 -0.09 0.23 -0.155
C 4.38330 3.05825 -1.37573 -0.20 0.30 -0.59 -0.169
C 4.14960 4.51169 -1.89858 0.41 -0.48 -0.08 -0.251
C 5.15495 4.93633 -2.99736 -0.88 0.67 0.16 -0.540
S 4.36111 5.27173 -4.61571 0.14 -0.31 -0.26 0.674
C 2.04443 2.34285 -0.92409 -0.41 -0.17 0.39 -0.253
P 1.99185 3.54904 0.47005 0.56 0.70 -0.04 0.988
C 0.26305 4.18180 0.51575 0.21 -0.19 -0.08 -0.298
C 2.17281 2.50142 1.97326 -0.01 -0.60 0.13 -0.416
C 3.60157 1.96406 2.13125 -0.15 0.26 -0.27 -0.170
C 0.90899 1.53024 -1.24128 0.65 -0.51 -0.48 -0.340
N -0.27950 1.53231 -0.65200 -0.39 -0.05 0.27 -0.222
S -1.17118 0.39710 -1.35958 0.23 0.18 -0.01 1.024
N -0.12258 -0.14650 -2.44410 -0.32 -0.03 -0.14 -0.220
C 1.00727 0.53727 -2.27708 -0.29 0.32 0.13 -0.308
C 1.42507 -3.13779 0.63976 -0.46 -0.23 -0.06 -1.034
S 1.56927 -1.67478 1.34488 0.32 0.01 0.31 0.772
S -0.14233 -4.01516 0.63938 0.08 -0.27 -0.38 0.889
C -0.62454 -4.02846 2.39373 0.32 0.93 0.40 -0.471
C -1.15085 -2.71634 2.99182 -0.35 0.24 -0.20 -0.316
C -2.11997 -1.93510 2.08623 -0.18 -0.25 0.07 -0.130
H 4.28751 -1.33935 3.29744 -0.18 -0.07 -0.13 0.070
H 4.56959 -0.81700 1.60843 -0.25 -0.13 0.07 0.026
H 5.87569 -0.82823 2.76318 -0.06 0.03 0.02 0.075
H 5.90527 -3.24098 2.92405 0.18 -0.04 -0.12 0.103
H 6.06768 -2.72093 1.22083 0.24 -0.20 0.15 0.102
H 4.52559 -4.74605 1.79679 -0.18 -0.09 -0.05 0.109
H 3.39285 -3.52472 2.38118 -0.08 -0.08 -0.10 0.083
H 4.05909 -2.43759 -0.08997 -0.10 0.06 0.26 0.082
H 4.39892 -4.12746 -0.39094 0.00 0.08 -0.07 0.128
H 1.27962 -4.37710 -1.77822 0.08 -0.10 -0.02 0.111
H 3.01069 -4.09890 -2.07841 -0.03 -0.27 0.15 0.121
H 2.61202 -1.66053 -1.58258 -0.14 0.15 -0.06 0.089
H 0.87223 -2.02111 -1.62501 0.23 0.20 0.21 0.075
H 0.76525 -2.37453 -3.88089 -0.03 0.21 -0.02 0.109
H 2.41642 -2.91432 -3.99930 -0.01 0.06 -0.06 0.108
H 3.27087 -0.89934 -4.44958 0.15 0.15 0.13 0.096
H 1.64316 -0.46147 -4.88943 0.08 -0.02 -0.02 0.128
H 4.46809 0.58590 -4.45510 -0.04 -0.16 0.03 0.114
H 4.87587 2.09435 -3.71424 -0.01 -0.02 -0.21 0.098
H 4.45659 -0.74480 -1.43010 0.09 -0.10 -0.03 0.051
H 5.51806 0.39409 -0.61484 -0.12 -0.05 0.04 0.087
H 6.23701 -1.05670 -1.28286 -0.08 -0.11 -0.05 0.086
H 6.96714 1.15074 -3.94636 0.09 0.00 0.00 0.054
H 5.27562 2.70602 -1.88045 0.07 -0.26 0.21 0.077
H 4.60685 3.05497 -0.31325 -0.08 0.05 0.07 0.085
H 4.20931 5.21629 -1.07244 -0.04 -0.02 0.05 0.093
H 3.13782 4.56358 -2.29253 -0.06 0.12 0.04 0.075
H 5.91594 4.18445 -3.18954 0.09 0.03 0.01 0.053
H 5.62075 5.87293 -2.70043 0.31 -0.15 0.01 0.055
H 3.17157 5.71934 -4.18878 0.14 0.01 0.18 -0.153
H 0.29316 5.14982 1.01443 -0.05 -0.04 0.11 0.025
H -0.03373 4.35822 -0.51839 -0.13 -0.01 0.01 0.034
H -0.45108 3.51235 0.98732 -0.04 0.03 -0.02 0.019
H 1.94625 3.12096 2.84441 -0.15 0.15 -0.12 0.076
H 1.47770 1.65552 1.99075 -0.13 0.10 -0.10 0.064
H 4.30852 2.78862 2.24268 0.04 -0.03 0.03 0.069
H 3.67919 1.31638 3.00340 0.02 -0.03 -0.02 0.065
H 3.89273 1.39247 1.24668 0.02 -0.09 0.07 0.041
H 0.25416 -4.35269 2.95235 -0.11 -0.21 0.03 0.073